Fellowship with The Holy Spirit

“May the grace of the Lord Jesus Christ, and the love of God, and the fellowship of the Holy Spirit be with you all” 2 Corinthians 13:14

“In the beginning God created the heavens and the earth. The earth was formless and empty, darkness was over the surface of the deep, and the Spirit of God was hovering over the waters.”

“And God said, “Let there be light,” and there was light.”

Genesis 1:1-3

The Holy Spirit was in the creation, He was hovering over the waters He came when it was dark but the Holy Spirit only moved when there was light.

Both Christian and unbeliever have the Holy Spirit with them , every person who doesn’t know the Lord has the Holy Spirit with them.

The Holy Spirit is the One who convince and convict us from sin (John 16:8)

That’s why Jesus told His disciples:

The Holy Spirit is with you but He will be in you.

John 14:17

Also after His resurrection and before He goes to heaven Jesus says to his disciples :

“I will send the Holy Spirit, just as my Father promised. But stay here in the city until the Holy Spirit comes and fills you with power from heaven.””

Luke 24:49

What does that mean ? People who don’t know God , the Holy Spirit is always around every person, even unbelievers , just like He was in the dark , when the earth was formless and empty.

But the Holy Spirit waits for the light, and Jesus is the light of the world. The Holy Spirit waits for Christ to be accepted and once He’s accepted, the Holy Spirit goes to work.

The Holy Spirit came and started to move because the light came.

When Jesus comes into my life the Holy Spirit starts moving and starts to do something that is supernatural and impossible.

He goes from being with you to live in you. He begins to have a relationship with you.

The Holy Spirit wants to come , rest , live,  dwell and operate through you , not because you are good but because Christ died on the cross.

The grace of the Lord Jesus Christ, and the love of God, and the fellowship of the Holy Spirit be with you all”

2 Co 13:14

Let’s breaks this down:

Before there can be communion there must be Grace and Love

1- The Grace of the Lord Jesus

Jesus has Grace to offer , abundant and amazing Grace.

He gives us Grace but Grace is not an excuse to sin , it’s a power that allows us to overcome sin.

Some Christians are living a sinful life and they claim I’m living in the grace.

Whoever the Grace of Jesus is not mercy. Mercy keeps me away from what I deserve. Grace gives me what I don’t deserve.

Many Christians have not embraced Grace and they don’t know the Grace of God because their prayers and expectations is only at the level of Mercy.

But Jesus has more than Mercy , He has Grace for you  and Grace that you do not deserve, it’s a credit in your account.

Jesus gave us Grace , but the Father says : I also have a gift for you !

2- The Love of God : John 3:16 For God so loved the world.

He not just loved , but so loved us ,even before you became a Christian, before you surrendered ,  He so loved you already.

Can you imagine how much He loves me, now that I’m his child ?!

The love of God is the foundation for everything, and because He loved us He sent Jesus to save us.

3- The Fellowship with The Holy Spirit

Jesus said I’m going to give you Grace , the Father said : I’m going to give you Love but the Holy Spirit says: I still have something too. I have yet another gift for you !

The Grace is the gift of Jesus , the Love is the gift to the Father and the Holy Spirit has communion and fellowship.

Attached: materials data =
+++
Entry 1:
Crystalline NbFeB4 at its relaxed geometry, computed with PBE.

```
data_NbFeB4
_chemical_formula_sum 'Nb4 Fe4 B16'
_cell_length_a 3.1690
_cell_length_b 5.7205
_cell_length_c 11.1257
_cell_angle_alpha 90.00
_cell_angle_beta 90.00
_cell_angle_gamma 90.00
_symmetry_space_group_name_H-M 'P 1'
_symmetry_Int_Tables_number 1
_symmetry_space_group_name_Hall 'P 1'
loop_
_atom_site_label
_atom_site_fract_x
_atom_site_fract_y
_atom_site_fract_z
Nb1 0.0000 0.6296 0.3467
Nb2 0.0000 0.1296 0.1533
Nb3 0.0000 0.8704 0.8467
Nb4 0.0000 0.3704 0.6533
B1 0.5000 0.5217 0.8056
B2 0.5000 0.1310 0.9673
B3 0.5000 0.2091 0.8123
B4 0.5000 0.7909 0.1877
B5 0.5000 0.4783 0.1944
B6 0.5000 0.6310 0.5327
B7 0.5000 0.3690 0.4673
B8 0.5000 0.3842 0.0480
B9 0.5000 0.8842 0.4520
B10 0.5000 0.7091 0.6877
B11 0.5000 0.0217 0.6944
B12 0.5000 0.2909 0.3123
B13 0.5000 0.9783 0.3056
B14 0.5000 0.1158 0.5480
B15 0.5000 0.8690 0.0327
B16 0.5000 0.6158 0.9520
Fe1 0.0000 0.6372 0.0900
Fe2 0.0000 0.1372 0.4100
Fe3 0.0000 0.3628 0.9100
Fe4 0.0000 0.8628 0.5900
```

Calculated values
- formation enthalpy at 0 K (eV per formula unit) = -2.6
- size of the total moment (μB per atom) = 0.000
- SG = Pbam
- Fermi-level density of states (states/eV/f.u.) = 2.94

***

Entry 2:
Crystalline LaPm5Nd4 at its relaxed geometry, computed with PBE.

```
data_LaPm5Nd4
_chemical_formula_sum 'La1 Pm5 Nd4'
_cell_length_a 3.6870
_cell_length_b 3.6870
_cell_length_c 25.9294
_cell_angle_alpha 90.00
_cell_angle_beta 90.00
_cell_angle_gamma 90.00
_symmetry_space_group_name_H-M 'P 1'
_symmetry_Int_Tables_number 1
_symmetry_space_group_name_Hall 'P 1'
loop_
_atom_site_label
_atom_site_fract_x
_atom_site_fract_y
_atom_site_fract_z
Nd1 0.0000 0.0000 0.2009
Nd2 0.0000 0.0000 0.4003
Nd3 0.0000 0.0000 0.5997
Nd4 0.0000 0.0000 0.7991
Pm1 0.5000 0.5000 0.8986
Pm2 0.5000 0.5000 0.6994
Pm3 0.5000 0.5000 0.1014
Pm4 0.5000 0.5000 0.3006
Pm5 0.5000 0.5000 0.5000
La1 0.0000 0.0000 0.0000
```

Calculated values
- formation enthalpy at 0 K (eV per formula unit) = 0.2
- size of the total moment (μB per atom) = 0.000
- excess energy over the best structure of this formula in the dataset (eV per atom) = 0.0000
- SG = P4/mmm
- Fermi-level density of states (states/eV/f.u.) = 15.90

***

Entry 3:
Crystalline LiAlSbTe2 at its relaxed geometry, computed with PBE.

```
data_LiAlSbTe2
_chemical_formula_sum 'Li1 Al1 Sb1 Te2'
_cell_length_a 5.2955
_cell_length_b 5.2955
_cell_length_c 4.8310
_cell_angle_alpha 90.00
_cell_angle_beta 90.00
_cell_angle_gamma 90.00
_symmetry_space_group_name_H-M 'P 1'
_symmetry_Int_Tables_number 1
_symmetry_space_group_name_Hall 'P 1'
loop_
_atom_site_label
_atom_site_fract_x
_atom_site_fract_y
_atom_site_fract_z
Te1 0.5000 0.0000 0.0000
Te2 0.0000 0.5000 0.0000
Al1 0.5000 0.5000 0.5000
Li1 0.0000 0.0000 0.0000
Sb1 0.0000 0.0000 0.5000
```

Calculated values
- size of the total moment (μB per atom) = 0.000
- excess energy over the best structure of this formula in the dataset (eV per atom) = 0.2159
+++
So much for the materials data =

Fellowship is different from prayer. Prayer is when you ask, prayer is when you create supplication, intercession, when we bring thanksgiving, praise , and worship.

Fellowship is different. Fellowship is always done among friends. Fellowship is not when one person talks and talks and the other listen. This is not fellowship.

If just you speak and He cannot talk back you are not in fellowship.

I’m not talking about praying to the Holy Spirit. We pray to the Father in Jesus name and this is prayer.

But bible says that we have fellowship with the Holy Spirit. I never pray to the Holy Spirit , I pray to God , in Jesus name but I talk to the Holy Spirit.

Actually the Bible says the Holy Spirit will help us pray , He will help us worship Jesus.

You should have Fellowship and talk with the Holy Spirit.

You can change your life as you have communion with the Holy Spirit. We actually can talk to the Holy Spirit every day.

How can you have fellowship if just one person is talking?  It is not possible!

The Holy Spirit has a gift for you and it’s not only the gift of tongues , power , miracles , it’s the gift of relationship.

Watch this verse very carefully once again:

“The grace of the Lord Jesus Christ, and the love of God, and the fellowship of the Holy Spirit be with you all”

You will have what with who ? What does it say ? Fellowship with who?

With YOU all , stop disqualifying yourself because you don’t have a ministry, The Holy Spirit has a gift for us all.

You don’t disqualify yourself from the Grace because you don’t have a ministry.

You don’t disqualify yourself from the Love of God because you are not a preacher , pastor or life group leader.

Yet , somehow, the relationship with the Holy Spirit its neglected. But the bible says relationship with the Holy Spirit is for all of us.

If you have fellowship with Him , He can Help you in any circumstance, because He is our helper, or councillor.

Years ago , I was the manager of company and there were plenty of times  when I was in troubles,  I didn’t know what to do or what decision to take.

When I found myself in doubt, I would ask the Holy Spirit and He many of times would give me the answer.

I experienced many miracles as result of this fellowship with the Holy Spirit. I have even lost things, like wallet or documents and I have asked Him and He spoke to me and revealed where it was.

The communion or the fellowship with the Holy Spirit is what will change everything! Many know about grace and love but very few Christians practice communion with the Spirit.

Remember the previous message I gave : The Holy Spirit is God , He’s a person , He speaks , He has his own will , He gives direction, and He is the only One  from Trinity who is on earth today and he lives in you,  but the point is: do you have fellowship with Him?

I have 2 nephews living in my house with me. They physically live with me. But there are some days of the week I don’t talk to them, because I have such a busy life.

I wake up at 5:30 they are still asleep , I return home and they are studying and so we don’t see each other. Sometimes we don’t talk even though we live in my house. I don’t see them but they live in my house.

Sometimes this is our relationship with the Holy Spirit ! Legally He lives in us , we are not enemies, we like each other , you received the Holy Spirit in your life but you have no communion with Him.

He waits to be wanted, longs to be welcomed. He needs to be hosted. Many people invite the Holy Spirit, but few know how to host Him.

To start fellowshipping with the Holy Spirit we must first see Him as a person. If you want to walk in the Holy Spirit, start by talking to the Holy Spirit.

Throughout the day welcome Him, thank Him and worship Him. You should not feel guilty for not spending time with the Holy Spirit but you should feel thirsty. He wants relationship, not rules.

When you fellowship with the Holy Spirit, start by developing an awareness of the fact that He is with you, then turn your attention to Him and then lift your hearts with affection towards Him.

The Holy Spirit is hosted by surrender. All Christians have the same Holy Spirit, but the Holy Spirit does not have all the Christians the same way.

Every Christian has the Holy Spirit, but the Holy Spirit does not have every Christian!

Every Christian has relationship with Holy Spirit but not every one has intimacy with the Holy Spirit.

We receive the Holy Spirit when we were saved , the Holy Spirit gets us by surrender.

“Walk in the Spirit, and you shall not fulfil the lust of the flesh.”

Galatians 5:16

The bible says that you must walk in the Spirit. Your physical birth gives you legs but walking requires practice, mentors and time.

Salvation gives you Holy Spirit but walking in him takes time, practice, and mentors.

To walk in Holy Spirit you need to talk to Holy Spirit.

He is not a force but a friend . He is not tongues,He is not fire, dove, oil or manifestation but a person that lives inside of you and as a person He can be grieved and so the Bible warns us : don’t grieve the Holy Spirit.

To walk in the Holy Spirit you need to talk with the Holy Spirit and  When I walk – I will not fulfil lust of the flesh.

The only way for you to overcome sin is walking in the spirit .

When I walk in the Spirit fruit is developed as result of intimacy (Gal.5:22,23,25)

“But the Holy Spirit produces this kind of fruit in our lives: love, joy, peace, patience, kindness, goodness, faithfulness, gentleness, and self-control. There is no law against these things!”

“If we live in the Spirit, let us also walk in the Spirit.”

Galatians 5:22,23,25

Love, patience, joy , peace , kindness , gentleness, self control is developed in your life as you have fellowship, Communion and  intimacy with the Holy Spirit.

When we born again we became the temple of the Holy Spirit. Paul the apostle said,

“Or do you not know that your body is the temple of the Holy Spirit who is in you, whom you have from God, and you are not your own? For you were bought at a price; therefore glorify God in your body and in your spirit, which are God’s.”

I Corinthians 6:19-20

The Holy Spirit address is your location , the Holy Spirit lives inside of you. In fact your own body becomes His house.

When Jesus saves us , He prepares a place for us in heaven ,  but also Jesus says to the Holy Spirit , I got you a room in their hearts.

Salvation doesn’t only get me a place in heaven , salvation makes me a place for the Holy Spirit.

Jesus is not just looking to get me to heaven, He is looking to bring Holy Spirit inside. Holy Spirit is looking for a body. Holy Spirit is looking for someone to live in , to inhabit and to have fellowship.

Salvation makes you a place for the Holy Spirit. You’re his temple, His house. You can live in the same house but not in intimacy relationship.

Our life is like an old house that has many things to be fixed. He is the only one who can help you to fix your life.

For example He can fix your mouth, (maybe you speak bad words or gossip about others live)

He can help you with impatience , (you fight others, get angry easily) ,

He can help your lack of self control.

Some of you have physical problem and He can help you because He loves you , He is for you , He knows your soul , your body, your mind and your spirit inside out.

Things that you don’t know how to fix, things that are broken and  you have already consulted councillors , you have confessed your mistakes but you’re still broken.

When you have a relationship, fellowship with Him, I can assure you : He can change you ! And heal you!

The Holy Spirit knows you because He built you and He will help to restore you , He will help rebuild you and He will be with you until the very end.

That is His relationship with you ! What transform us is our Communion with The Holy Spirit.

The Holy Spirit belongs to you , the same way Grace belongs to you , the same way Love belongs to you , please do not ever disqualify yourself , because you’re so special to God , you’re so dear to God , He loves you so much.

He is giving you His amazing Grace , He’s giving you His great Love and the Holy Spirit is giving you a gift of friendship, relationship, communion and walking with you through your life.

He wants to live with you , He wants to help you.

God bless you